
New Archdeacon of Clogher announced at Diocesan Synod


Bishop Ian Ellis welcoming Canon Paul Thompson as the new Archdeacon of Clogher.

The Bishop of Clogher, the Right Revd Dr. Ian Ellis has chosen the Clogher Diocesan Synod to announce the name of his new Archdeacon.

The new Archdeacon of Clogher is Canon Paul Thompson, Rector of Derryvullen North and Castle Archdale, who succeeds Archdeacon Brian Harper, who moved to Connor Diocese to be Rector of Dunluce Parish.

Bishop Ellis described Canon Paul as having gifts of administration and pastoral care and was a much-respected Rector in his parishes of Derryvullen North and Castle Archdale.

“Within the diocese he is currently our Warden of Readers and Support officer for Lay Ministry. He is a member of Diocesan Council, a Diocesan Nominator and is our representative Canon in St Patrick’s Cathedral Dublin. Canon Paul is a Clogher representative on the RCB and on the Church of Ireland Safeguarding Board. Canon Paul has many other gifts; he maintains a very creative Facebook presence for his parishes, and I know will bring to this role not only experience of parish ministry in Ireland but also many years as Prison Chaplain in the Church of England. The new Archdeacon and I trained together for ministry in Theological College and we have known each other a very long time! I look forward to working closely with Canon Paul in his new role and sharing in the ongoing work of this diocese,” the Bishop said.

The appointment received warm applause from members of Synod.

Bishop Ellis in his presidential address welcomed Synod members in what was his third diocesan Synod.

Bishop Ian Ellis giving his address to Clogher Diocesan Synod.

He referred to the recent tragic deaths of young people on the roads of Co. Monaghan, the review of diocesan organisation which is currently ongoing, current financial tightening in parishes and in the diocese, the work of the Bishops’ Appeal responding to world disasters and introduced a talk on the innovative Pioneer Ministry which has been introduced in the Church of Ireland.

Records of crystals, kept here for reference:
Record 1
CuSnPt: simulated PXRD pattern (a wavelength of 1.5418 Å), based on DFT lattice parameters and positions (GGA-PBE).
Intensities are scaled so that the largest is 1000.

Cell and atoms:
```
CuSnPt
1.0
4.3954 0.0000 0.0000
-2.1977 3.8065 0.0000
0.0000 0.0000 3.0561
Cu Sn Pt
1 1 1
Cartesian
0.0000 0.0000 0.0000
2.1977 1.2688 2.0552
0.0000 2.5377 1.0529
```

Largest 8 diffraction maxima, most intense first, 2θ from 5° to 70°:
d_spacing, I (rel.)
2.383, 1000
2.198, 737
1.616, 305
3.807, 240
1.418, 199
1.784, 65
3.056, 47
1.903, 38

Record 2
ErMgScSn: simulated PXRD pattern (a wavelength of 1.5418 Å), based on DFT lattice parameters and positions (GGA-PBE).
Intensities are scaled so that the largest is 1000.

Cell and atoms:
```
ErMgScSn
1.0
0.0000 3.6281 3.6281
3.6281 0.0000 3.6281
3.6281 3.6281 0.0000
Er Mg Sc Sn
1 1 1 1
Cartesian
0.0000 0.0000 0.0000
1.8140 1.8140 1.8140
3.6281 3.6281 3.6281
5.4421 5.4421 5.4421
```

Largest 8 diffraction maxima, most intense first, 2θ from 5° to 70°:
d_spacing, I (rel.)
2.565, 1000
4.189, 421
1.481, 366
2.188, 239
1.814, 178
1.665, 106
1.396, 81
3.628, 40

Record 3
CeHoTiN3: simulated PXRD pattern (a wavelength of 1.5418 Å), based on DFT lattice parameters and positions (GGA-PBE).
Intensities are scaled so that the largest is 1000.

Cell and atoms:
```
CeHoTiN3
1.0
7.1979 0.0000 0.0000
0.0000 3.3863 0.0000
-0.4352 0.0000 7.9121
Ce Ho Ti N
2 2 2 6
Cartesian
1.0126 0.8466 1.3710
5.7501 2.5397 6.5411
2.3329 2.5397 6.7441
4.4299 0.8466 1.1680
0.6198 0.8466 4.6146
6.1429 2.5397 3.2974
0.6313 0.8466 6.6016
0.9512 2.5397 3.6211
2.7143 2.5397 1.0384
4.0484 0.8466 6.8736
5.8115 0.8466 4.2909
6.1314 2.5397 1.3104
```

Largest 8 diffraction maxima, most intense first, 2θ from 5° to 70°:
d_spacing, I (rel.)
2.464, 1000
7.912, 963
2.573, 764
3.113, 610
2.637, 503
2.736, 461
3.206, 386
3.342, 312

Record 4
Pr5Er4Th2: simulated PXRD pattern (a wavelength of 1.5418 Å), based on DFT lattice parameters and positions (GGA-PBE).
Intensities are scaled so that the largest is 1000.

Cell and atoms:
```
Pr5Er4Th2
1.0
8.9209 0.0000 0.0000
0.0000 3.5375 0.0000
-0.9120 0.0000 11.8321
Pr Er Th
5 4 2
Cartesian
0.0000 0.0000 0.0000
0.3960 0.0000 3.4754
2.0085 0.0000 9.9038
6.0004 0.0000 1.9283
7.6129 0.0000 8.3567
1.2975 1.7688 6.4885
2.9126 1.7688 1.2904
5.0962 1.7688 10.5417
6.7114 1.7688 5.3436
3.7424 0.0000 4.3443
4.2665 0.0000 7.4878
```

Largest 8 diffraction maxima, most intense first, 2θ from 5° to 70°:
d_spacing, I (rel.)
2.843, 1000
2.929, 691
2.874, 681
2.909, 404
2.768, 355
2.668, 295
3.144, 242
2.633, 230

Record 5
DyGaCl: simulated PXRD pattern (a wavelength of 1.5418 Å), based on DFT lattice parameters and positions (GGA-PBE).
Intensities are scaled so that the largest is 1000.

Cell and atoms:
```
DyGaCl
1.0
2.0425 1.1792 10.7404
-2.0425 1.1792 10.7404
0.0000 -2.3585 10.7404
Dy Ga Cl
2 2 2
Cartesian
0.0000 0.0000 2.0703
0.0000 0.0000 30.1508
0.0000 0.0000 11.0996
0.0000 0.0000 21.1215
0.0000 0.0000 7.1101

The full text of Bishop Ellis’s address is as follows;

-- Between two parts of the article: crystal structures --
=====
Entry 1:
# Y3Cl2
Theoretical X-ray diffraction stick pattern, Cu Ka. Input: a cell relaxed with PBE.
Intensities are scaled so that the largest is 100.

The 6 most intense peaks (2θ from 15° to 90°), in order of rising 2θ:
29.0 deg, intensity 13; 29.8 deg, intensity 100; 39.3 deg, intensity 35; 45.7 deg, intensity 31; 51.9 deg, intensity 20; 55.5 deg, intensity 16

```
data_Y3Cl2
_cell_length_a 7.327
_cell_length_b 7.327
_cell_length_c 7.327
_cell_angle_alpha 55.93
_cell_angle_beta 55.93
_cell_angle_gamma 55.93
_space_group_name_H-M_alt 'P 1'
_space_group_IT_number 1
_space_group_name_Hall 'P 1'
loop_
_atom_site_label
_atom_site_type_symbol
_atom_site_fract_x
_atom_site_fract_y
_atom_site_fract_z
_atom_site_occupancy
Y1 Y 0.092 0.750 0.408 1
Y2 Y 0.250 0.592 0.908 1
Y3 Y 0.408 0.092 0.750 1
Y4 Y 0.592 0.908 0.250 1
Y5 Y 0.750 0.408 0.092 1
Y6 Y 0.908 0.250 0.592 1
Cl1 Cl 0.166 0.166 0.166 1
Cl2 Cl 0.334 0.334 0.334 1
Cl3 Cl 0.666 0.666 0.666 1
Cl4 Cl 0.834 0.834 0.834 1
```


Entry 2:
# In3I7O
Theoretical X-ray diffraction stick pattern, Cu Ka. Input: a cell relaxed with PBE.
Intensities are scaled so that the largest is 100.

The 6 most intense peaks (2θ from 15° to 90°), in order of rising 2θ:
28.0 deg, intensity 100; 34.9 deg, intensity 51; 44.3 deg, intensity 30; 44.6 deg, intensity 29; 53.5 deg, intensity 16; 67.9 deg, intensity 13

```
data_In3I7O
_cell_length_a 8.123
_cell_length_b 8.123
_cell_length_c 7.537
_cell_angle_alpha 90.00
_cell_angle_beta 90.00
_cell_angle_gamma 120.00
_space_group_name_H-M_alt 'P 1'
_space_group_IT_number 1
_space_group_name_Hall 'P 1'
loop_
_atom_site_label
_atom_site_type_symbol
_atom_site_fract_x
_atom_site_fract_y
_atom_site_fract_z
_atom_site_occupancy
In1 In 0.037 0.519 0.000 1
In2 In 0.481 0.519 0.000 1
In3 In 0.481 0.963 0.000 1
I1 I 0.163 0.326 0.250 1
I2 I 0.163 0.837 0.250 1
I3 I 0.330 0.165 0.780 1
I4 I 0.667 0.333 0.229 1
I5 I 0.674 0.837 0.250 1
I6 I 0.835 0.165 0.780 1
I7 I 0.835 0.670 0.780 1
O1 O 0.333 0.667 0.908 1
```


Entry 3:
# La2Nd2Te2Se3
Theoretical X-ray diffraction stick pattern, Cu Ka. Input: a cell relaxed with PBE.
Intensities are scaled so that the largest is 100.

The 6 most intense peaks (2θ from 15° to 90°), in order of rising 2θ:
30.9 deg, intensity 100; 31.0 deg, intensity 50; 31.6 deg, intensity 61; 44.2 deg, intensity 37; 44.7 deg, intensity 46; 73.0 deg, intensity 21

```
data_La2Nd2Te2Se3
_cell_length_a 9.098
_cell_length_b 9.098
_cell_length_c 9.098
_cell_angle_alpha 142.85
_cell_angle_beta 142.85
_cell_angle_gamma 53.55
_space_group_name_H-M_alt 'P 1'
_space_group_IT_number 1
_space_group_name_Hall 'P 1'
loop_
_atom_site_label
_atom_site_type_symbol
_atom_site_fract_x
_atom_site_fract_y
_atom_site_fract_z
_atom_site_occupancy
La1 La 0.196 0.196 0.000 1
La2 La 0.804 0.804 0.000 1
Nd1 Nd 0.000 0.500 0.500 1
Nd2 Nd 0.500 0.000 0.500 1
Te1 Te 0.395 0.395 0.000 1
Te2 Te 0.605 0.605 0.000 1
Se1 Se 0.000 0.000 0.000 1
Se2 Se 0.250 0.750 0.500 1
Se3 Se 0.750 0.250 0.500 1
```
=====
-- Here the article continues --

Clergy Changes
“Since our last Diocesan Synod three clergy have joined the diocese: Rev Stephen McWhirter as rector of Rossorry, Rev Canon Jennifer McWhirter as Rector of Cleenish and Mullaghdun and Rev Ian Cruickshank as Rector of Carrickmacross Union, Magheracloone and Ardragh. We welcome you all and hope that your ministry will be much blessed and that you find Clogher a warm and friendly diocese.

Reaching out
“Later this evening I have invited Rev Rob Jones, the National Director of a new initiative of the Church of Ireland called Pioneer Ministry to give us a short address. Essentially this new Church of Ireland programme is an encouragement to us to find new ways of reaching those with little or no connection with the church. I hope we will listen with interest with our ears tuned to what our Lord may be asking us to do in our parishes to proclaim the love of God to a group of people beyond our established and regular parishioners. We look forward to being inspired to be fruitful in new ways in helping many to find faith or to develop their faith in Christ and become active members of his church.

Change and development
“Autumn is a season of change, and this is a reminder that things do not remain static in church and community life. Society is changing all around us and is challenged by many factors.

“The weather has been the big talking point over the so-called summer. And globally there were so many adverse weather-related incidents. In August I recall seeing a news report from California where a senior police officer speaking to the press said he was beginning to dread seeing messages with more bad news on his mobile phone across California state at the same time, he was dealing with a tropical storm, flooding, wildfires and then he received reports of an earthquake!

“In recent weeks we have also heard news of a major earthquake in Morocco followed a few days later by news of a devastating flood in the port city of Derna in Libya. Certainly, that flood had both a natural element combined with a series of human failings in maintenance of two river dams. The aftermath of that disaster was unspeakable and possibly up to 20,000 lives have been lost. A UN spokesman has commented that in this event ‘climate and capacity have collided to cause this terrible tragedy’.

The Bishop of Clogher and other diocesan officers at the Synod.

Data records, as found in the file:
+++
LiGaMo2O8: theoretical powder XRD pattern (Cu Kα X-rays), based on a DFT-relaxed cell (GGA+U, Alexandria).

Structural model:
```
data_LiGaMo2O8
_chemical_formula_sum 'Li2 Ga2 Mo4 O16'
_cell_length_a 6.8267
_cell_length_b 7.1979
_cell_length_c 7.5099
_cell_angle_alpha 91.06
_cell_angle_beta 110.73
_cell_angle_gamma 104.88
_space_group_name_H-M_alt 'P -1'
_space_group_IT_number 2
_space_group_name_Hall '-P 1'
loop_
_atom_site_label
_atom_site_fract_x
_atom_site_fract_y
_atom_site_fract_z
_atom_site_occupancy
Li1 0.2331 0.0533 0.2579 1
Ga1 0.4070 0.5999 0.8192 1
Mo1 0.1767 0.5326 0.2879 1
Mo2 0.3356 0.0774 0.7907 1
O1 0.0885 0.9829 0.8206 1
O2 0.1154 0.5548 0.8394 1
O3 0.2460 0.5416 0.5425 1
O4 0.2636 0.0784 0.5439 1
O5 0.2743 0.7714 0.2406 1
O6 0.3109 0.3674 0.2259 1
O7 0.4236 0.3430 0.8906 1
O8 0.4864 0.8843 0.8509 1
```

Top 6 peaks for 10° ≤ 2θ ≤ 90°, low angle first:
Position (°2θ)	intensity
12.82	31
14.46	34
15.30	32
25.55	80
25.80	89
27.08	100

~~~~~

# DyZn20Rh2
Simulated X-ray diffraction stick pattern, λ = 1.5418 Å (Cu Kα). Input: a cell relaxed with PBE.

```
DyZn20Rh2
1.0
0.000 7.105 7.105
7.105 0.000 7.105
7.105 7.105 0.000
Dy Zn Rh
2 40 4
direct
0.125 0.125 0.125
0.875 0.875 0.875
0.000 0.000 0.000
0.000 0.000 0.500
0.000 0.500 0.000
0.057 0.323 0.323
0.057 0.323 0.797
0.057 0.797 0.323
0.203 0.677 0.677
0.203 0.677 0.943
0.203 0.943 0.677
0.236 0.236 0.514
0.236 0.514 0.236
0.236 0.514 0.514
0.323 0.057 0.323
0.323 0.057 0.797
0.323 0.323 0.057
0.323 0.323 0.797
0.323 0.797 0.057
0.323 0.797 0.323
0.486 0.486 0.764
0.486 0.764 0.486
0.486 0.764 0.764
0.500 0.000 0.000
0.514 0.236 0.236
0.514 0.236 0.514
0.514 0.514 0.236
0.677 0.203 0.677
0.677 0.203 0.943
0.677 0.677 0.203
0.677 0.677 0.943
0.677 0.943 0.203
0.677 0.943 0.677
0.764 0.486 0.486
0.764 0.486 0.764
0.764 0.764 0.486
0.797 0.057 0.323
0.797 0.323 0.057
0.797 0.323 0.323
0.943 0.203 0.677
0.943 0.677 0.203
0.943 0.677 0.677
0.000 0.500 0.500
0.500 0.000 0.500
0.500 0.500 0.000
0.500 0.500 0.500
```

The 6 most intense peaks (15 to 90 degrees two-theta), by angle:
Position (°2θ)	I_rel
37.44	92
40.13	54
41.68	96
42.18	100
54.82	29
75.72	52

# Tm4In3Hg
Simulated X-ray diffraction stick pattern, λ = 1.5418 Å (Cu Kα). Input: a cell relaxed with PBE.

```
Tm4In3Hg
1.0
3.733 0.000 0.000
0.000 4.745 0.000
0.000 0.000 11.862
Tm In Hg
4 3 1
direct
0.000 0.000 0.000
0.000 0.500 0.307
0.500 0.000 0.494
0.500 0.500 0.812
0.000 0.000 0.734
0.000 0.500 0.574
0.500 0.500 0.076
0.500 0.000 0.237
```

The 6 most intense peaks (15 to 90 degrees two-theta), by angle:
Position (°2θ)	I_rel
30.14	21
31.41	100
33.00	30
35.70	48
37.93	33
38.20	40

# Pr2SmDyHo
Simulated X-ray diffraction stick pattern, λ = 1.5418 Å (Cu Kα). Input: a cell relaxed with PBE.

```
Pr2SmDyHo
1.0
8.180 0.000 0.000
0.000 6.814 0.000
-0.010 0.000 6.227
Pr Sm Dy Ho
4 2 2 2
direct
0.197 0.194 0.251
0.197 0.806 0.751
0.803 0.194 0.249
0.803 0.806 0.749
0.500 0.500 0.000
0.500 0.500 0.500
0.500 0.083 0.750
0.500 0.917 0.250
+++

“The Bishops’ Appeal Committee has issued an appeal across the Church of Ireland and will channel funds through Christian Aid who are working with trusted partners in Derna. Already £10,000 in Emergency Aid has been released by Bishops’ Appeal from its reserves, and all monies raised by this appeal across the Church of Ireland will be additional funds to help with the disaster relief. Parishes are asked to collect funds for this appeal for the next few weeks and send all donations directly to Bishops’ Appeal. We include the people of Libya and those working to bring aid and support to them in both our personal and corporate prayers.

“Certainly, it seems incontrovertible that there is a global imbalance. Climate change seems very likely to be related to human activity specifically the overdependence on fossil fuels and the release of carbon dioxide. All of us, individuals and governments will have to think more seriously about how we live in this world and tread gently on its surface and become better stewards of God’s creation. The need for rebalancing of fossil and non-fossil fuel consumption has been brought sharply and alarmingly into focus this summer.

“I would like to develop that theme of balance as I consider our work in the diocese. It appeals to me as I was a Physics teacher and would have spent a lot of time trying to teach the concept of equilibrium and balanced forces to pupils.

“The Old Testament book of Ecclesiastes speaks of the balance of everything in life; ‘for everything there is a season and a time for every matter under heaven’.

“As I look around our society and diocese, I think we are struggling to find a state of balance. We are like a small boat which has been blown about by severe storms, firstly the pandemic, then as we emerge from it there are new global factors including a war in the Ukraine, rising energy costs and a cost-of-living crisis. And at a deeper level living in a society which is becoming ever more secular in nature.

“At a community level in NI, our government is out of balance with no functioning executive and every week seems to bring some news of impact upon services be it the NHS, our schools, the state of the roads, or confronting poverty. I’m not a politician but I echo the yearning of all of us and plead for an early settlement of the political issues here in NI which hinder a return to locally accountable and hopefully balanced decision making. We earnestly ask our politicians to quickly resolve the dispute which prevents forming a government and allow local representatives to make key decisions for our future in this province.

“In recent weeks we have all been made aware of the number of young people killed on our roads particularly in the Republic of Ireland. Last Saturday I along with many others from the wider Monaghan Community attended the funeral of Jake Brennan, a young 17-year-old former pupil of Monaghan Collegiate, who died in a tragic road traffic collision. In August two other teenage girls were killed in a collision in Clones on the way to a debs ball for Largy College. These are unspeakable losses for their families and school friends to bear and are part of a litany of deaths on our roads in recent months. There is something wrong or out of balance about the way we drive on our roads and our duty of care for the safety of other road users. I know that Monaghan Collegiate School plans to address correct road use and safe driving with its pupils in coming weeks. But it is not just the young, the culture of road use in Ireland needs to be challenged and driving fundamentally understood as a means of getting from A to B in safety.

“At a diocesan level we too are trying to find a better balance, especially a financial balance of the books. You will hear later of some difficult decisions Diocesan Council has taken to keep the increase in parish assessments to a realistic level. This has been painful at diocesan level. These cuts along with a series of small but cumulatively significant spending reductions were required to help strive towards some semblance of financial balance.

“I know too parishes are trying to rebalance their books in this post pandemic phase. Speaking to clergy I sense that church attendances are slowly returning but are not quite at 2019 levels, also that fundraising has only recently been able to begin in earnest. In terms of outgoings, energy costs have risen along with increasing utility and insurance costs. The cost-of-living crisis is likely to impact giving and parishioners ability to contribute to the parish. However, I also know that where faithful ministry is exercised and discerned, it is responded to and a positive sense of stewardship for the welfare of the parish is maintained.

Reviewing diocesan organisation
Our diocesan organisation is also affected by challenges. As stewards of resources, we must reflect on whether the parish organisation we have is meeting the needs of today and the future. To address this, the Diocesan Council has initiated a Diocesan Review to be undertaken by a Task Group drawn from the membership of Synod. The group has only recently begun its work and it is hoped to bring a brief report later this year to Diocesan Council.

“This review will require a considerable piece of research and a consultation with clergy and parishioners across the diocese probably over the next few years. Hopefully we will finish with a strategy for going forward which will develop proposals for a healthy and sustainable diocesan and parish organisation for the future.

“There are patterns, and ways of doing things in our parishes and diocese that are excellent and serve us well that we should keep or maintain and pass on to the next generation. There are things which we are working well in our parishes, and we must build on them, yet there are some factors which are holding us back, and there are some things we do which may not serve us any longer and may need replacing. As this work of the Review Group progresses and they move out to consult with parishes and clergy I hope we will be open and honest in our deliberations and ask ourselves the question; how do we see this parish and diocese in the next 10 years? What must we keep and develop and what must be made new?
This is important work, and we must give the Group time to progress the task.

“My hope is that our review might lead us equally to finding positive solutions to the problems and challenges facing Clogher diocese.

“Such an exercise will I trust help us rediscover our sense of balance as we endure many external storms. But at our core we must have an internal balance, our spiritual lives should have a still centre, and a purpose. All of us who claim to be followers of Jesus Christ have our eyes fixed on him, the one who is the treasure or pearl of great price. Ultimately, we will find our balance and sustain our parish and diocesan life not because our finances are better, nor because we reshape our structures. The church will grow and develop because we have that spiritual treasure in our lives and because as people of the kingdom, we share that treasure of the God of love who meets us in Jesus, and we remain open to him changing us and showing us how to reach out to our parish communities.

“As I near my conclusion may I offer a sincere thanks to all those whose service supports our parishes. Firstly, to the clergy my thanks for your faithful ministry in testing times and for the seen and the unseen things you do for Christ in the fulfilment of your vocation. And secondly, manifold thanks to our faithful laity, members of Select Vestries and office bearers who week by week underpin our parishes with dedicated service. The responsibilities of Churchwardens, Glebewardens, Select Vestries, children’s and youth leaders, Safeguarding panel members, seem to annually increase with additional compliance requirements. We want you to know that such sacrificial service is not taken for granted and is deeply appreciated by your parishioners and by the diocese.

“I am ever grateful to the dedication and expertise of the Diocesan Staff. The Diocesan Office is small in scale but very efficient. I think we have one of the leanest administrative supports of all the dioceses in the Church of Ireland.

“And so, with those words of thanks I conclude my address and we turn now to the business of our Synod to matters practical and spiritual and apply our hearts to strive for that balance or equanimity of life which we are called by our Lord to cultivate in our hearts and live out in the world.”

Revd Rob Jones introducing Pioneer Ministry.

During the Diocesan Synod, Revd Rob Jones, Director of Pioneer Ministry, gave a presentation to members on the initiative which has as its mission; “reaching those with little or no connection to church” in fresh and innovative ways. He explained how Pioneer Ministry leadership teams and hubs would be established as well as training people in paid and voluntary roles.

The results of the triennial elections for positions on the various diocesan boards and committees and wider church representation were announced.